1.
{
  "formula": "C5H7HgO3",
  "method": "ωB97M-V/def2-TZVPD",
  "elements": ["O", "C", "C", "H", "H", "H", "H", "O", "O", "C", "Hg", "C", "C", "H", "H", "H"],
  "positions_angstrom": [[1.047656, 0.299200, 0.771044], [1.796875, 0.444231, 1.834860], [2.828747, -0.609666, 2.136973], [1.984848, 1.473773, 2.178140], [3.217239, -0.503178, 3.158684], [2.419162, -1.625011, 2.024223], [3.680378, -0.512367, 1.441359], [-0.964928, 2.251828, 1.496501], [-1.207165, 0.001508, 1.644303], [-0.857347, 1.083301, 1.173903], [-0.062039, -1.653259, 0.497069], [2.076797, -3.789250, 0.303484], [0.732333, -3.846820, 0.173105], [2.604118, -2.835726, 0.480970], [2.741507, -4.663808, 0.436562], [0.400176, -4.906856, 0.134756]],
  "forces_ev_per_angstrom": [[-0.254, 1.480, -0.824], [0.692, 0.283, 0.926], [-0.160, 0.244, 0.033], [0.016, -0.250, -0.047], [-0.060, 0.003, -0.174], [0.099, 0.332, 0.111], [0.039, -0.204, 0.045], [0.942, -2.120, -2.939], [-0.840, 2.188, -1.513], [-0.579, 0.388, 5.860], [-0.315, -2.478, -1.717], [-0.108, 0.201, 0.615], [1.595, -0.399, 0.492], [-0.216, -0.468, -0.425], [-0.360, 0.180, -0.356], [-0.490, 0.623, -0.088]],
  "nbo_charge": [-0.820, 0.071, -0.690, 0.113, 0.199, 0.207, 0.183, -0.574, -0.668, 1.011, 0.631, -0.532, -0.600, 0.164, 0.152, 0.152],
  "e_homo_ha": [-0.0494, -0.1869],
  "total_charge": -1,
  "homo_lumo_gap_ha": [0.173, 0.311],
  "max_force_ev_per_a": 5.90,
  "e_lumo_ev": [3.38, 3.37],
  "spin_multiplicity": 3
}

***

2.
{
  "formula": "C5H7I",
  "method": "ωB97M-V/def2-TZVPD",
  "elements": ["C", "C", "C", "C", "C", "I", "H", "H", "H", "H", "H", "H", "H"],
  "positions_angstrom": [[1.480659, 1.277226, -0.013120], [0.530497, 0.385183, -0.024539], [0.791201, -1.053503, 0.214097], [-0.865344, 0.550179, -0.150012], [-1.794041, -0.357596, -0.406540], [-3.828496, -0.049175, 0.153321], [1.520036, 2.301399, -0.130306], [2.496060, 0.862248, 0.138869], [1.669636, -1.431985, -0.362926], [-0.176440, -1.583648, 0.159955], [1.131047, -1.070077, 1.252797], [-1.398661, 1.535269, -0.028436], [-1.556158, -1.365515, -0.803165]],
  "forces_ev_per_angstrom": [[2.654, -1.294, 0.364], [-0.406, -1.112, -0.599], [1.478, -0.752, 0.606], [-3.561, 3.219, -0.195], [-0.511, -1.408, -0.312], [0.743, -0.097, -0.601], [-0.815, 2.003, -0.334], [-0.501, 0.264, -0.028], [-1.076, -0.061, 0.126], [1.546, -0.409, -0.065], [-0.132, -0.511, 0.140], [1.301, -0.549, 0.385], [-0.719, 0.707, 0.514]],
  "nbo_charge": [-0.353, -0.053, -0.641, -0.256, -0.320, 0.129, 0.204, 0.184, 0.226, 0.221, 0.228, 0.221, 0.210],
  "e_homo_ha": -0.3164,
  "total_charge": 0,
  "homo_lumo_gap_ha": 0.325,
  "max_force_ev_per_a": 4.80,
  "e_lumo_ev": 0.24,
  "smiles": "C=C(C)/C=C/I"
}

***

3.
{
  "formula": "C5H7IN2O",
  "method": "ωB97M-V/def2-TZVPD",
  "elements": ["C", "C", "C", "C", "C", "N", "N", "O", "I", "H", "H", "H", "H", "H", "H", "H"],
  "positions_angstrom": [[0.167761, 0.265290, -0.098331], [-0.895771, -0.596127, 0.195201], [1.183500, -0.655580, -0.154691], [0.119149, 1.702598, -0.288001], [-2.311315, -0.259828, 0.250277], [-0.496841, -1.827852, 0.521509], [0.773270, -1.845914, 0.215391], [3.268317, -0.671025, -0.656512], [4.465902, 0.514580, 0.178952], [-0.298289, 2.061534, -1.366326], [-0.547874, 2.182961, 0.404816], [1.183852, 2.164682, -0.207336], [-2.387781, 0.647097, 0.990358], [-2.756902, 0.111096, -0.799060], [-2.897561, -1.186449, 0.476189], [1.430587, -2.607067, 0.337561]],
  "forces_ev_per_angstrom": [[0.837, -0.678, -0.810], [0.065, -0.753, 0.792], [3.252, 1.313, -0.573], [1.255, 2.658, -3.028], [-2.025, 2.004, -0.808], [-1.637, -0.354, -0.806], [2.983, -0.877, 0.048], [-4.763, -1.243, -0.024], [0.728, 1.091, 0.851], [0.998, -1.064, 2.302], [-0.119, 0.184, 0.514], [-1.939, -0.724, -0.047], [-0.624, -1.861, -1.186], [1.225, -0.643, 2.214], [0.402, 1.097, 0.388], [-0.637, -0.151, 0.174]],
  "nbo_charge": [-0.241, 0.134, 0.541, -0.626, -0.644, -0.251, -0.386, -0.817, 0.468, 0.224, 0.226, 0.241, 0.225, 0.226, 0.251, 0.429],
Type out the lines further up from the line with "1.473773, 2.178140]," to the end exactly, please.
  "positions_angstrom": [[1.047656, 0.299200, 0.771044], [1.796875, 0.444231, 1.834860], [2.828747, -0.609666, 2.136973], [1.984848, 1.473773, 2.178140], [3.217239, -0.503178, 3.158684], [2.419162, -1.625011, 2.024223], [3.680378, -0.512367, 1.441359], [-0.964928, 2.251828, 1.496501], [-1.207165, 0.001508, 1.644303], [-0.857347, 1.083301, 1.173903], [-0.062039, -1.653259, 0.497069], [2.076797, -3.789250, 0.303484], [0.732333, -3.846820, 0.173105], [2.604118, -2.835726, 0.480970], [2.741507, -4.663808, 0.436562], [0.400176, -4.906856, 0.134756]],
  "forces_ev_per_angstrom": [[-0.254, 1.480, -0.824], [0.692, 0.283, 0.926], [-0.160, 0.244, 0.033], [0.016, -0.250, -0.047], [-0.060, 0.003, -0.174], [0.099, 0.332, 0.111], [0.039, -0.204, 0.045], [0.942, -2.120, -2.939], [-0.840, 2.188, -1.513], [-0.579, 0.388, 5.860], [-0.315, -2.478, -1.717], [-0.108, 0.201, 0.615], [1.595, -0.399, 0.492], [-0.216, -0.468, -0.425], [-0.360, 0.180, -0.356], [-0.490, 0.623, -0.088]],
  "nbo_charge": [-0.820, 0.071, -0.690, 0.113, 0.199, 0.207, 0.183, -0.574, -0.668, 1.011, 0.631, -0.532, -0.600, 0.164, 0.152, 0.152],
  "e_homo_ha": [-0.0494, -0.1869],
  "total_charge": -1,
  "homo_lumo_gap_ha": [0.173, 0.311],
  "max_force_ev_per_a": 5.90,
  "e_lumo_ev": [3.38, 3.37],
  "spin_multiplicity": 3
}

***

2.
{
  "formula": "C5H7I",
  "method": "ωB97M-V/def2-TZVPD",
  "elements": ["C", "C", "C", "C", "C", "I", "H", "H", "H", "H", "H", "H", "H"],
  "positions_angstrom": [[1.480659, 1.277226, -0.013120], [0.530497, 0.385183, -0.024539], [0.791201, -1.053503, 0.214097], [-0.865344, 0.550179, -0.150012], [-1.794041, -0.357596, -0.406540], [-3.828496, -0.049175, 0.153321], [1.520036, 2.301399, -0.130306], [2.496060, 0.862248, 0.138869], [1.669636, -1.431985, -0.362926], [-0.176440, -1.583648, 0.159955], [1.131047, -1.070077, 1.252797], [-1.398661, 1.535269, -0.028436], [-1.556158, -1.365515, -0.803165]],
  "forces_ev_per_angstrom": [[2.654, -1.294, 0.364], [-0.406, -1.112, -0.599], [1.478, -0.752, 0.606], [-3.561, 3.219, -0.195], [-0.511, -1.408, -0.312], [0.743, -0.097, -0.601], [-0.815, 2.003, -0.334], [-0.501, 0.264, -0.028], [-1.076, -0.061, 0.126], [1.546, -0.409, -0.065], [-0.132, -0.511, 0.140], [1.301, -0.549, 0.385], [-0.719, 0.707, 0.514]],
  "nbo_charge": [-0.353, -0.053, -0.641, -0.256, -0.320, 0.129, 0.204, 0.184, 0.226, 0.221, 0.228, 0.221, 0.210],
  "e_homo_ha": -0.3164,
  "total_charge": 0,
  "homo_lumo_gap_ha": 0.325,
  "max_force_ev_per_a": 4.80,
  "e_lumo_ev": 0.24,
  "smiles": "C=C(C)/C=C/I"
}

***

3.
{
  "formula": "C5H7IN2O",
  "method": "ωB97M-V/def2-TZVPD",
  "elements": ["C", "C", "C", "C", "C", "N", "N", "O", "I", "H", "H", "H", "H", "H", "H", "H"],
  "positions_angstrom": [[0.167761, 0.265290, -0.098331], [-0.895771, -0.596127, 0.195201], [1.183500, -0.655580, -0.154691], [0.119149, 1.702598, -0.288001], [-2.311315, -0.259828, 0.250277], [-0.496841, -1.827852, 0.521509], [0.773270, -1.845914, 0.215391], [3.268317, -0.671025, -0.656512], [4.465902, 0.514580, 0.178952], [-0.298289, 2.061534, -1.366326], [-0.547874, 2.182961, 0.404816], [1.183852, 2.164682, -0.207336], [-2.387781, 0.647097, 0.990358], [-2.756902, 0.111096, -0.799060], [-2.897561, -1.186449, 0.476189], [1.430587, -2.607067, 0.337561]],
  "forces_ev_per_angstrom": [[0.837, -0.678, -0.810], [0.065, -0.753, 0.792], [3.252, 1.313, -0.573], [1.255, 2.658, -3.028], [-2.025, 2.004, -0.808], [-1.637, -0.354, -0.806], [2.983, -0.877, 0.048], [-4.763, -1.243, -0.024], [0.728, 1.091, 0.851], [0.998, -1.064, 2.302], [-0.119, 0.184, 0.514], [-1.939, -0.724, -0.047], [-0.624, -1.861, -1.186], [1.225, -0.643, 2.214], [0.402, 1.097, 0.388], [-0.637, -0.151, 0.174]],
  "nbo_charge": [-0.241, 0.134, 0.541, -0.626, -0.644, -0.251, -0.386, -0.817, 0.468, 0.224, 0.226, 0.241, 0.225, 0.226, 0.251, 0.429],